**What to do:**
Write out everything underneath exactly.

**Entries:**
-- begin --
[1]
Diffraction record for TbFe4B4. The X-ray diffraction stick pattern is simulated, not measured: it uses a crystal structure in Alexandria, relaxed with PBE and Cu Kα (λ = 1.5418 Å).

```
TbFe4B4
1.0
6.9545 0.0000 0.0000
0.0000 6.9545 0.0000
0.0000 0.0000 3.8151
Tb Fe B
2 8 8
Cartesian
1.7386 1.7386 0.9538
5.2159 5.2159 2.8613
0.8197 4.4199 0.5378
0.9427 6.1347 2.4453
2.5346 4.2970 2.4453
2.6575 6.0118 0.5378
4.2970 0.9427 3.2773
4.4199 2.6575 1.3698
6.0118 0.8197 1.3698
6.1347 2.5346 3.2773
0.3490 6.3743 0.5477
0.5802 3.8263 2.4553
2.8971 6.6055 2.4553
3.1282 4.0574 0.5477
3.8263 2.8971 3.2674
4.0574 0.3490 1.3598
6.3743 3.1282 1.3598
6.6055 0.5802 3.2674
```

Main lines, sorted by position (5 to 70 degrees two-theta):
25.62 deg, I = 30
26.65 deg, I = 61
36.55 deg, I = 17
37.30 deg, I = 100
41.04 deg, I = 72
47.71 deg, I = 14
49.55 deg, I = 15
53.21 deg, I = 31
59.96 deg, I = 16
64.69 deg, I = 16

[2]
Diffraction record for HoTh2CrC4. The X-ray diffraction stick pattern is simulated, not measured: it uses a crystal structure in Alexandria, relaxed with PBE and Cu Kα (λ = 1.5418 Å).

```
HoTh2CrC4
1.0
1.7995 -5.9181 0.0000
1.7995 5.9181 0.0000
0.0000 0.0000 12.6500
Ho Th Cr C
2 4 2 8
Cartesian
1.7995 4.6274 9.4875
1.7995 -4.6274 3.1625
1.7995 1.5900 6.8946
1.7995 1.5900 12.0804
1.7995 -1.5900 0.5696
1.7995 -1.5900 5.7554
1.7995 3.8564 3.1625
1.7995 -3.8564 9.4875
0.0000 0.0000 0.0000
0.0000 0.0000 6.3250
1.7995 2.6972 1.7704
1.7995 2.6972 4.5546
1.7995 1.1700 9.4875
1.7995 -1.1700 3.1625
1.7995 -2.6972 8.0953
1.7995 -2.6972 10.8796
```

Main lines, sorted by position (5 to 70 degrees two-theta):
14.00 deg, I = 22
25.94 deg, I = 99
28.22 deg, I = 33
29.54 deg, I = 100
30.20 deg, I = 55
34.47 deg, I = 29
36.66 deg, I = 77
44.44 deg, I = 39
49.75 deg, I = 26
57.85 deg, I = 21

[3]
Diffraction record for Na5Er4Si4O16F. The X-ray diffraction stick pattern is simulated, not measured: it uses a crystal structure in Alexandria, relaxed with PBE and Cu Kα (λ = 1.5418 Å).

```
Na5Er4Si4O16F
1.0
-5.7945 5.7945 2.7120
5.7945 -5.7945 2.7120
5.7945 5.7945 -2.7120
Na Er Si O F
5 4 4 16 1
Cartesian
0.0000 0.0000 0.0000
4.7571 1.2170 0.0514
4.5775 -1.0374 2.6606
1.2170 6.8320 -0.0514
1.0374 4.5775 2.7634
7.1268 3.6875 0.1299
3.6875 4.4623 -0.1299
2.1070 1.3323 2.5820
-1.3323 2.1070 2.8419
8.7254 1.2098 -0.0647
1.2098 2.8637 0.0647
4.5847 2.9308 2.7767
-2.9308 4.5847 2.6472
5.4053 3.4104 -1.3020
7.0910 1.2840 0.0853
3.4224 -3.0406 2.3202
2.1470 -0.5703 1.2666
2.7539 2.3721 0.3918
3.6475 6.3649 -1.4454
1.2840 4.4981 -0.0853
0.3893 2.3841 1.4100
5.2242 3.6475 1.4454
4.5106 1.2964 2.6267
2.3721 8.8352 -0.3918
2.3841 -0.3893 4.0140
3.4104 6.1838 1.3020
3.0406 3.4224 3.1038
-1.2964 4.5106 2.7972
0.5703 2.1470 4.1574
0.0000 0.0000 2.7120
```

Main lines, sorted by position (5 to 70 degrees two-theta):
10.80 deg, I = 58
18.06 deg, I = 100
23.75 deg, I = 46
24.29 deg, I = 50
28.36 deg, I = 62
32.38 deg, I = 68
33.03 deg, I = 42
35.99 deg, I = 57
42.41 deg, I = 38
48.59 deg, I = 41

Which formula does entry 2 have? HoTh2CrC4
-- stop --

**Completed:**
[1]
Diffraction record for TbFe4B4. The X-ray diffraction stick pattern is simulated, not measured: it uses a crystal structure in Alexandria, relaxed with PBE and Cu Kα (λ = 1.5418 Å).

```
TbFe4B4
1.0
6.9545 0.0000 0.0000
0.0000 6.9545 0.0000
0.0000 0.0000 3.8151
Tb Fe B
2 8 8
Cartesian
1.7386 1.7386 0.9538
5.2159 5.2159 2.8613
0.8197 4.4199 0.5378
0.9427 6.1347 2.4453
2.5346 4.2970 2.4453
2.6575 6.0118 0.5378
4.2970 0.9427 3.2773
4.4199 2.6575 1.3698
6.0118 0.8197 1.3698
6.1347 2.5346 3.2773
0.3490 6.3743 0.5477
0.5802 3.8263 2.4553
2.8971 6.6055 2.4553
3.1282 4.0574 0.5477
3.8263 2.8971 3.2674
4.0574 0.3490 1.3598
6.3743 3.1282 1.3598
6.6055 0.5802 3.2674
```

Main lines, sorted by position (5 to 70 degrees two-theta):
25.62 deg, I = 30
26.65 deg, I = 61
36.55 deg, I = 17
37.30 deg, I = 100
41.04 deg, I = 72
47.71 deg, I = 14
49.55 deg, I = 15
53.21 deg, I = 31
59.96 deg, I = 16
64.69 deg, I = 16

[2]
Diffraction record for HoTh2CrC4. The X-ray diffraction stick pattern is simulated, not measured: it uses a crystal structure in Alexandria, relaxed with PBE and Cu Kα (λ = 1.5418 Å).

```
HoTh2CrC4
1.0
1.7995 -5.9181 0.0000
1.7995 5.9181 0.0000
0.0000 0.0000 12.6500
Ho Th Cr C
2 4 2 8
Cartesian
1.7995 4.6274 9.4875
1.7995 -4.6274 3.1625
1.7995 1.5900 6.8946
1.7995 1.5900 12.0804
1.7995 -1.5900 0.5696
1.7995 -1.5900 5.7554
1.7995 3.8564 3.1625
1.7995 -3.8564 9.4875
0.0000 0.0000 0.0000
0.0000 0.0000 6.3250
1.7995 2.6972 1.7704
1.7995 2.6972 4.5546
1.7995 1.1700 9.4875
1.7995 -1.1700 3.1625
1.7995 -2.6972 8.0953
1.7995 -2.6972 10.8796
```

Main lines, sorted by position (5 to 70 degrees two-theta):
14.00 deg, I = 22
25.94 deg, I = 99
28.22 deg, I = 33
29.54 deg, I = 100
30.20 deg, I = 55
34.47 deg, I = 29
36.66 deg, I = 77
44.44 deg, I = 39
49.75 deg, I = 26
57.85 deg, I = 21

[3]
Diffraction record for Na5Er4Si4O16F. The X-ray diffraction stick pattern is simulated, not measured: it uses a crystal structure in Alexandria, relaxed with PBE and Cu Kα (λ = 1.5418 Å).

```
Na5Er4Si4O16F
1.0
-5.7945 5.7945 2.7120
5.7945 -5.7945 2.7120
5.7945 5.7945 -2.7120
Na Er Si O F
5 4 4 16 1
Cartesian
0.0000 0.0000 0.0000
4.7571 1.2170 0.0514
4.5775 -1.0374 2.6606
1.2170 6.8320 -0.0514
1.0374 4.5775 2.7634
7.1268 3.6875 0.1299
3.6875 4.4623 -0.1299
2.1070 1.3323 2.5820
-1.3323 2.1070 2.8419
8.7254 1.2098 -0.0647
1.2098 2.8637 0.0647
4.5847 2.9308 2.7767
-2.9308 4.5847 2.6472
5.4053 3.4104 -1.3020
7.0910 1.2840 0.0853
3.4224 -3.0406 2.3202
2.1470 -0.5703 1.2666
2.7539 2.3721 0.3918
3.6475 6.3649 -1.4454
1.2840 4.4981 -0.0853
0.3893 2.3841 1.4100
5.2242 3.6475 1.4454
4.5106 1.2964 2.6267
2.3721 8.8352 -0.3918
2.3841 -0.3893 4.0140
3.4104 6.1838 1.3020
3.0406 3.4224 3.1038
-1.2964 4.5106 2.7972
0.5703 2.1470 4.1574
0.0000 0.0000 2.7120
```

Main lines, sorted by position (5 to 70 degrees two-theta):
10.80 deg, I = 58
18.06 deg, I = 100
23.75 deg, I = 46
24.29 deg, I = 50
28.36 deg, I = 62
32.38 deg, I = 68
33.03 deg, I = 42
35.99 deg, I = 57
42.41 deg, I = 38
48.59 deg, I = 41

Which formula does entry 2 have? HoTh2CrC4